What to do =
Now quote the block further below from the line with "-2.8438" to the end word for word.

File =
=====
(1)
Entry from OMol25: a 18-piece molecular cluster, C21H63NO22S overall at a distorted geometry (ωB97M-V with the def2-TZVPD basis set).

The geometry in ORCA input format:
```
! RIJCOSX wB97M-V def2-TZVPD def2/J DEFGRID3
* xyz 0 1
C -1.4931 1.9189 6.4347
C -1.0245 2.8530 5.2020
C -0.4323 4.3219 5.5055
C -1.1128 2.4298 3.8195
C -2.2194 3.0469 2.8134
C -3.1386 1.8988 2.1305
C -2.3959 1.2197 0.8485
C -3.4340 0.8746 -0.3217
C -1.4220 0.0254 1.2983
C -1.8061 -1.4368 0.7691
C -0.9238 -1.8109 -0.5327
C -0.3955 -3.2759 -0.6713
C 0.5084 -3.7695 -1.8508
C 0.8873 -2.7166 -2.9132
C 0.3297 -1.2648 -2.7914
C -0.5615 -0.7674 -1.6395
C 0.9102 -0.5516 -4.0894
O 0.4068 0.3975 -4.7235
N 2.1423 -1.3264 -4.3797
C 3.2832 -1.0793 -3.4479
C 4.3698 -0.0257 -3.9747
C 3.7663 1.2933 -4.6543
S 2.8882 2.4375 -3.4855
O 2.5209 1.7589 -2.1732
O 1.6695 3.0599 -4.1479
O 3.8575 3.7635 -3.0369
C 1.7948 -2.7771 -4.2177
O 2.1898 -3.7177 -4.9323
H -2.6363 1.7916 6.3450
H -0.9885 0.8899 6.3872
H -1.2434 2.4260 7.4291
H 0.0190 4.7598 4.5467
H -1.2718 4.9792 5.9343
H 0.3968 4.2286 6.3046
H -0.3432 1.6349 3.4674
H -2.9126 3.7016 3.4581
H -1.6791 3.7028 2.0445
H -3.3856 1.0889 2.8952
H -4.0877 2.4341 1.7692
H -1.7130 2.0618 0.4389
H -4.1034 1.8084 -0.4476
H -4.1297 0.0513 0.0611
H -2.9720 0.6695 -1.3415
H -0.3358 0.2383 0.9662
H -1.3940 -0.0181 2.4499
H -1.4486 -2.1828 1.5795
H -2.9179 -1.6386 0.6333
H -0.6790 -4.0353 0.1287
H 0.8948 -4.8342 -1.9555
H -0.9001 0.3151 -1.6031
H 3.8309 -2.0930 -3.3366
H 2.9863 -0.7672 -2.3910
H 5.0469 -0.5581 -4.7323
H 4.9970 0.2799 -3.0562
H 3.1279 1.0667 -5.5858
H 4.6703 1.8898 -5.0565
H 3.2909 4.2254 -2.3626
O -4.5067 0.9889 7.5548
H -4.7093 0.0986 7.8793
H -4.2911 1.4866 8.3551
O 5.4857 1.6785 -7.1386
H 5.0831 1.5168 -8.0006
H 5.5882 2.6393 -7.1061
O 0.7258 -5.4579 0.9043
H 1.6314 -5.5667 0.5762
H 0.2851 -6.2818 0.6533
O -6.6423 2.9030 8.4604
H -7.1091 2.4844 9.1939
H -6.2258 2.1636 7.9947
O -5.3126 -1.4598 6.7104
H -4.6991 -1.4570 5.9646
H -5.8981 -2.2047 6.5287
O 2.9927 -6.4591 -0.4566
H 3.8980 -6.5632 -0.7813
H 2.5562 -7.2830 -0.7087
O 5.6589 -5.1285 -0.2564
H 5.4734 -4.2382 -0.5808
H 5.4486 -5.0824 0.6848
O -4.3597 2.6060 -2.8438
H -3.5781 2.4658 -3.3935
H -4.6170 3.5169 -3.0325
O -1.3700 0.5064 -7.1153
H -0.9319 0.4038 -6.2590
H -1.2307 1.4342 -7.3382
O -6.9281 1.7839 5.2354
H -6.2012 1.7147 5.8683
H -7.6954 1.4660 5.7258
O 2.5544 -0.1198 0.6573
H 2.1496 -0.2810 -0.2054
H 2.6621 0.8390 0.6877
O -1.3461 -5.1259 -4.1943
H -0.5622 -5.2625 -4.7416
H -1.6053 -4.2151 -4.3813
O 7.1116 3.7528 -8.6215
H 7.6096 4.5460 -8.8540
H 7.3886 3.1018 -9.2780
O -3.5500 4.4767 0.5686
H -3.9563 4.3279 -0.2951
H -3.4331 5.4341 0.6104
O -0.9418 -7.5093 1.7503
H -0.7852 -6.7089 2.2696
H -1.4852 -8.0597 2.3269
O 7.0982 -0.4189 -2.3262
H 7.5970 0.3742 -2.5590
H 7.3752 -1.0699 -2.9831
O 1.8161 0.7519 3.8558
H 2.3275 1.5379 3.6284
H 2.0769 0.1021 3.1889
*
```

## Properties
**Kohn-Sham gap**: 5.9 eV
**HOMO level**: -6.24 eV
**Lowest unoccupied orbital energy**: -0.013 Ha

***

(2)
Entry from OMol25: a 9-piece molecular cluster, C21H64N14O9 overall at a distorted geometry (ωB97M-V with the def2-TZVPD basis set).

The geometry in ORCA input format:
```
! RIJCOSX wB97M-V def2-TZVPD def2/J DEFGRID3
* xyz 0 1
C -2.4593 3.3980 -3.9319
O -1.1843 3.9425 -4.2811
C -0.4428 4.0468 -3.1298
C 0.8748 4.7378 -3.3718
C 1.8348 3.8624 -4.2104
N 1.4916 5.0247 -2.1080
H -2.4457 2.3732 -3.5615
H -3.1152 3.3274 -4.8278
H -3.0385 4.0758 -3.2358
H -1.0626 4.5411 -2.4127
H -0.1841 3.1145 -2.6522
H 0.5859 5.6481 -3.9393
H 1.3264 3.5539 -5.1113
H 1.9739 2.9158 -3.8109
H 2.7758 4.3825 -4.4534
H 0.9060 5.4378 -1.3953
H 2.0238 4.2229 -1.7870
C -3.1023 -2.1532 -1.6601
O -3.7496 -2.4609 -0.4273
C -4.7808 -3.3647 -0.6031
C -5.2044 -4.0644 0.6071
C -5.7124 -3.1696 1.7793
N -4.2025 -5.0254 1.0031
H -2.4459 -2.9391 -2.0371
H -2.4227 -1.2539 -1.4678
H -3.7705 -1.9010 -2.4858
H -5.6856 -2.7932 -1.0923
H -4.5077 -4.0533 -1.3857
H -6.0404 -4.6734 0.3057
H -4.7645 -2.7386 2.0482
=====

Worked solution =
O -4.3597 2.6060 -2.8438
H -3.5781 2.4658 -3.3935
H -4.6170 3.5169 -3.0325
O -1.3700 0.5064 -7.1153
H -0.9319 0.4038 -6.2590
H -1.2307 1.4342 -7.3382
O -6.9281 1.7839 5.2354
H -6.2012 1.7147 5.8683
H -7.6954 1.4660 5.7258
O 2.5544 -0.1198 0.6573
H 2.1496 -0.2810 -0.2054
H 2.6621 0.8390 0.6877
O -1.3461 -5.1259 -4.1943
H -0.5622 -5.2625 -4.7416
H -1.6053 -4.2151 -4.3813
O 7.1116 3.7528 -8.6215
H 7.6096 4.5460 -8.8540
H 7.3886 3.1018 -9.2780
O -3.5500 4.4767 0.5686
H -3.9563 4.3279 -0.2951
H -3.4331 5.4341 0.6104
O -0.9418 -7.5093 1.7503
H -0.7852 -6.7089 2.2696
H -1.4852 -8.0597 2.3269
O 7.0982 -0.4189 -2.3262
H 7.5970 0.3742 -2.5590
H 7.3752 -1.0699 -2.9831
O 1.8161 0.7519 3.8558
H 2.3275 1.5379 3.6284
H 2.0769 0.1021 3.1889
*
```

## Properties
**Kohn-Sham gap**: 5.9 eV
**HOMO level**: -6.24 eV
**Lowest unoccupied orbital energy**: -0.013 Ha

***

(2)
Entry from OMol25: a 9-piece molecular cluster, C21H64N14O9 overall at a distorted geometry (ωB97M-V with the def2-TZVPD basis set).

The geometry in ORCA input format:
```
! RIJCOSX wB97M-V def2-TZVPD def2/J DEFGRID3
* xyz 0 1
C -2.4593 3.3980 -3.9319
O -1.1843 3.9425 -4.2811
C -0.4428 4.0468 -3.1298
C 0.8748 4.7378 -3.3718
C 1.8348 3.8624 -4.2104
N 1.4916 5.0247 -2.1080
H -2.4457 2.3732 -3.5615
H -3.1152 3.3274 -4.8278
H -3.0385 4.0758 -3.2358
H -1.0626 4.5411 -2.4127
H -0.1841 3.1145 -2.6522
H 0.5859 5.6481 -3.9393
H 1.3264 3.5539 -5.1113
H 1.9739 2.9158 -3.8109
H 2.7758 4.3825 -4.4534
H 0.9060 5.4378 -1.3953
H 2.0238 4.2229 -1.7870
C -3.1023 -2.1532 -1.6601
O -3.7496 -2.4609 -0.4273
C -4.7808 -3.3647 -0.6031
C -5.2044 -4.0644 0.6071
C -5.7124 -3.1696 1.7793
N -4.2025 -5.0254 1.0031
H -2.4459 -2.9391 -2.0371
H -2.4227 -1.2539 -1.4678
H -3.7705 -1.9010 -2.4858
H -5.6856 -2.7932 -1.0923
H -4.5077 -4.0533 -1.3857
H -6.0404 -4.6734 0.3057
H -4.7645 -2.7386 2.0482